Guzmán, the author of Elon's Common Reading selection, "I Never Thought of It That Way: How to Have Fearlessly Curious Conversations in Dangerously Divided Times," spoke to the Elon community on Sept. 21 for the 2023-24 Common Reading Lecture.
At the start of her Common Reading Lecture titled “Curious Questions, Sparking Conversations,” author Mónica Guzmán asked the hundreds in attendance in Alumni Gym to look around at those seated near them and realize that each person brings with them their unique viewpoint, just as complex as their own. It was a request rooted in the word “sonder,” which was created by author John Koenig to express “the realization that each random passerby is living a life as vivid and complex as your own.”
“I just find that kind of awesome and I’ve been putting myself into states of sonder in random moments during my day,” Guzmán said Thursday night to the crowd gathered in Alumni Gym.
Acknowledging the experiences and perspectives of others is the central theme of her book, “I Never Thought of It That Way: How to Have Fearlessly Curious Conversations in Dangerously Divided Times,” which was selected as the 2023-24 Elon University Common Reading. Each book selected reflects the values of the Elon Core Curriculum — curiosity, critical thinking, global perspective, and personal responsibility.
Leading up to Guzmán’s remarks, Paula Patch, assistant director of first-year initiatives for the Elon Core Curriculum, told the crowd that the challenge at the present moment is “people and communities and nations divided on opinion and ideology on just about everything. A solution — curiosity.”
Guzmán said as a society, we are so divided that we can’t see each other. This division has created a vicious cycle where there is more judgment across the divide with less engagement. When we make our judgments, we have less willingness to check those judgments with conversations with real people who can inform us with data or something that we may be able to relate to.
“We become blinded to what the issues are really about. And also to who people really are and where their perspectives really come from,” she said.
Guzmán is Senior Fellow for Public Practice at Braver Angels, the nation’s largest cross-partisan grassroots organization working to depolarize America; founder and CEO of Reclaim Curiosity, an organization working to build a more curious world; co-founder of the award-winning Seattle newsletter The Evergrey; and adviser for Starts With Us and the Generations Over Dinner project.
During her lecture, Guzmán recommended that members of the audience ask themselves a question when they find themselves blindly judging others for no reason: What kinds of people do I talk about but never with?
“Whoever is underrepresented in your life will be over-represented in your imagination,” Guzmán said. “This is the truth of a divided landscape.”
_Attached: records of crystals_
(1)
VASP calculation (PBE) on a geometry-optimized Mn2VNi8 structure.

Computed properties:
* calculated formation energy: 4.7 meV/atom

Unit cell a=6.570 b=6.570 c=6.570 alpha=145.86 beta=124.67 gamma=66.64
Fractional coordinates of all 11 atoms:
Mn 0.196 0.196 0.000
Mn 0.804 0.804 0.000
V 0.500 0.500 0.000
Ni 0.068 0.352 0.716
Ni 0.208 0.000 0.208
Ni 0.346 0.846 0.500
Ni 0.364 0.648 0.716
Ni 0.636 0.352 0.284
Ni 0.654 0.154 0.500
Ni 0.792 0.000 0.792
Ni 0.932 0.648 0.284

---

(2)
VASP calculation (PBE) on a geometry-optimized TiVC structure.

Computed properties:
* calculated formation energy: -328.5 meV/atom

Unit cell a=2.975 b=4.434 c=9.977 alpha=90.00 beta=90.00 gamma=90.00
Fractional coordinates of all 12 atoms:
Ti 0.000 0.247 0.000
Ti 0.000 0.753 0.000
Ti 0.500 0.253 0.500
Ti 0.500 0.747 0.500
V 0.000 0.000 0.282
V 0.000 0.000 0.718
V 0.500 0.500 0.218
V 0.500 0.500 0.782
C 0.000 0.500 0.355
C 0.000 0.500 0.645
C 0.500 0.000 0.145
C 0.500 0.000 0.855

~~~~~

Entry from the Alexandria database: an optimized crystal structure of Er3TmIn3 (PBE-GGA).

Properties
As for the polymorph energy (0 for the lowest one): 23.1 meV/atom. The value obtained for the total magnetic moment is 0.0 μB per cell. The formation energy comes out at -0.289 eV per atom.

a b c (Å): 9.2321 9.2321 9.2321
angles (deg): 90.00 90.00 90.00
With the nearest neighbours (Å) after each atom.
Sites, in units of the cell vectors:
Er (0.0723, 0.4277, 0.5723)  6 In 3.12-3.29
Er (0.1748, 0.1748, 0.1748)  6 In 3.11-3.29
Er (0.1748, 0.8252, 0.3252)  6 In 3.11-3.28
Er (0.3252, 0.1748, 0.8252)  6 In 3.11-3.28
Er (0.3252, 0.8252, 0.6748)  6 In 3.11-3.29
Er (0.4277, 0.5723, 0.0723)  6 In 3.12-3.29
Er (0.5723, 0.0723, 0.4277)  6 In 3.12-3.29
Er (0.6748, 0.3252, 0.8252)  6 In 3.11-3.29
Er (0.6748, 0.6748, 0.6748)  6 In 3.11-3.28
Er (0.8252, 0.3252, 0.1748)  6 In 3.11-3.28
Er (0.8252, 0.6748, 0.3252)  6 In 3.11-3.29
Er (0.9277, 0.9277, 0.9277)  6 In 3.12-3.29
Tm (0.0772, 0.5772, 0.9228)  6 In 3.11-3.27
Tm (0.4228, 0.4228, 0.4228)  6 In 3.11-3.27
Tm (0.5772, 0.9228, 0.0772)  6 In 3.11-3.27
Tm (0.9228, 0.0772, 0.5772)  6 In 3.11-3.27
In (0.0008, 0.2530, 0.8741)  2 Tm 3.11-3.27, 6 Er 3.11-3.29
In (0.1259, 0.5008, 0.2470)  2 Tm 3.11-3.27, 6 Er 3.11-3.29
In (0.2470, 0.1259, 0.5008)  2 Tm 3.11-3.27, 6 Er 3.11-3.29
In (0.2530, 0.8741, 0.0008)  2 Tm 3.11-3.27, 6 Er 3.11-3.29
In (0.3741, 0.4992, 0.7470)  2 Tm 3.11-3.27, 6 Er 3.11-3.29
In (0.4992, 0.7470, 0.3741)  2 Tm 3.11-3.27, 6 Er 3.11-3.29
In (0.5008, 0.2470, 0.1259)  2 Tm 3.11-3.27, 6 Er 3.11-3.29
In (0.6259, 0.9992, 0.7530)  2 Tm 3.11-3.27, 6 Er 3.11-3.29
In (0.7470, 0.3741, 0.4992)  2 Tm 3.11-3.27, 6 Er 3.11-3.29
In (0.7530, 0.6259, 0.9992)  2 Tm 3.11-3.27, 6 Er 3.11-3.29
In (0.8741, 0.0008, 0.2530)  2 Tm 3.11-3.27, 6 Er 3.11-3.29
In (0.9992, 0.7530, 0.6259)  2 Tm 3.11-3.27, 6 Er 3.11-3.29

***

Entry from the Alexandria database: an optimized crystal structure of ErTm6In4 (PBE-GGA).

Properties
Bridging is the way to close that gap between our imagination and reality. That doesn’t need a fancy name or jargon, Guzmán said, but it takes finding moments to meet people where they are instead of confirming beliefs.
The first step is noticing the assumptions you tend to make about issues and about other people who disagree with you. Next is to ask yourself: What might I be missing and are there factors I hadn’t considered?
“Once you practice noticing your assumptions, questioning your assumptions and then asking questions that get to people’s paths, what you’re doing is opening your eyes a bit wider than the default settings that our society often encourages,” Guzmán said.
“You can see people and perspectives more clearly with more of their layers and more of the dynamism of what really makes them real and interesting and complex,” she added.
Guzmán urges people to question their certainty and their fears. The problem with certainty, Guzmán argues, is that it is “the archvillain of curiosity, because if you think you know everything there is to know, there’s no room to ask more questions.
If certainty is the archvillain to curiosity, then fear is the kryptonite, Guzmán said, “because it is bad in a very different way.” Fear is a natural response in instances of survival to keep us safe from things irreparably consumed by hate, Guzmán said. But fear also comes at a cost. When so much of your brain’s energy is put towards fighting back, the ability to be creative or inquisitive is hindered.
# Someone pasted crystal structures at this point
____________
GGA+U V6O7F5, relaxed; total moment = 11.0 Bohr magnetons per cell; energy above the lowest structure with this stoichiometry = 16 meV/atom
1.0
-1.3957 -3.7988 -3.9301
-0.9172 -5.0439 2.3541
-7.4923 -1.4725 0.2787
V O F
6 7 5
Direct
0.6654 0.6654 0.8296
0.3330 0.3330 0.6611
0.6620 0.6620 0.3277
0.3477 0.3477 0.1949
0.9986 0.9986 0.4998
0.9995 0.9995 0.0017
0.0316 0.6323 0.6650
0.3679 0.9759 0.3303
0.4356 0.4356 0.3656
0.2996 0.6930 0.0030
0.6323 0.0316 0.6650
0.9759 0.3679 0.3303
0.6930 0.2996 0.0030
0.2297 0.2297 0.9621
0.5662 0.5662 0.6269
0.8970 0.8970 0.2971
0.0970 0.0970 0.7047
0.7681 0.7681 0.0320

~~~~~

{
  "formula": "TlCr2HRh",
  "functional": "GGA-PBE",
  "state": "optimized geometry",
  "rho_g_cm3": 10.8,
  "magnetic_moment_mub_per_fu": 0.0,
  "dft_energy_ev_per_atom": -5.950,
  "dos_at_fermi_per_ev_fu": 5.79,
  "cell": [[3.7052, 0.0000, 0.0000], [0.0000, 3.7052, 0.0000], [0.0000, 0.0000, 4.6108]],
  "species": ["Tl", "Cr", "Cr", "H", "Rh"],
  "fractional_positions": [[0.0000, 0.0000, 0.0000], [0.0000, 0.5000, 0.5000], [0.5000, 0.0000, 0.5000], [0.0000, 0.0000, 0.5000], [0.5000, 0.5000, 0.0000]]
}

{
  "formula": "BaNbW3",
  "functional": "GGA-PBE",
  "state": "optimized geometry",
  "rho_g_cm3": 10.5,
  "magnetic_moment_mub_per_fu": 0.0,
  "delta_e_f_mev_per_atom": 1974,
  "dos_at_fermi_per_ev_fu": 6.75,
  "cell": [[4.9872, 0.0000, 0.0000], [0.0000, 4.9872, 0.0000], [0.0000, 0.0000, 4.9872]],
  "species": ["Ba", "Nb", "W", "W", "W"],
  "fractional_positions": [[0.0000, 0.0000, 0.0000], [0.5000, 0.5000, 0.5000], [0.0000, 0.5000, 0.5000], [0.5000, 0.0000, 0.5000], [0.5000, 0.5000, 0.0000]]
}

{
  "formula": "PIr3",
  "functional": "GGA-PBE",
  "state": "optimized geometry",
  "rho_g_cm3": 17.1,
  "magnetic_moment_mub_per_fu": 0.0,
  "delta_e_f_mev_per_atom": 49,
  "dos_at_fermi_per_ev_fu": 2.75,
  "cell": [[3.4625, 0.0000, 0.0000], [0.0000, 5.5913, 0.0000], [0.0000, 0.0000, 6.0958]],
  "species": ["P", "P", "Ir", "Ir", "Ir", "Ir", "Ir", "Ir"],
  "fractional_positions": [[0.2500, 0.2500, 0.2261], [0.7500, 0.7500, 0.7739], [0.2500, 0.0106, 0.6739], [0.2500, 0.4894, 0.6739], [0.2500, 0.7500, 0.0549], [0.7500, 0.2500, 0.9451], [0.7500, 0.5106, 0.3261], [0.7500, 0.9894, 0.3261]]
}

{
  "formula": "PmPbF",
  "functional": "GGA-PBE",
  "state": "optimized geometry",
  "rho_g_cm3": 8.1,
  "magnetic_moment_mub_per_fu": 0.0,
  "e_form_raw_ev_per_atom": -1.91,
  "dos_at_fermi_per_ev_fu": 0.43,
  "cell": [[5.1764, 0.0000, 0.0000], [0.0000, 3.8942, 0.0000], [-2.0038, 0.0000, 7.5651]],
  "species": ["Pm", "Pm", "Pb", "Pb", "F", "F"],
  "fractional_positions": [[0.0060, 0.2500, 0.2291], [0.9940, 0.7500, 0.7709], [0.4519, 0.2500, 0.6445], [0.5481, 0.7500, 0.3555], [0.1312, 0.2500, 0.9507], [0.8688, 0.7500, 0.0493]]
}

{
  "formula": "Pm3Y",
  "functional": "GGA-PBE",
  "state": "optimized geometry",
  "rho_g_cm3": 6.4,
  "magnetic_moment_mub_per_fu": 0.0,
  "delta_e_f_mev_per_atom": 15,
  "dos_at_fermi_per_ev_fu": 6.45,
____________
Taking a step back, sharing parts of your own story to better understand where common ground exists and asking the extra question are key to having difficult and meaningful conversations, Guzman said.
“Curiosity at a divided time with so many exaggerations and misperceptions is what delivers reality. It’s what ensures that we can access reality and then we can build a common truth together at a time of such different splinted, siloed realities that seem to all be at war with each other,” she said.
During her campus visit, Guzmán met with community members, leaders from the Burlington Masjid and churches serving Alamance County’s Black community, Power and Place Collaborative participants at the Elon Community Church. Danielle Lake, director of design thinking, and others convened a community book club around Guzmán’s book ahead of her Common Reading lecture.
- - -
Density functional theory data (GGA-PBE) for a relaxed KB2AuO crystal.

Cell: 4.558 4.164 4.558 Å, 90.00 90.00 90.00°
Fractional positions:
K 0.500 0.500 0.500
B 0.000 0.000 0.500
B 0.500 0.000 0.000
Au 0.000 0.500 0.000
O 0.000 0.000 0.000

E (eV/atom): -3.022
Calculated density (g cm⁻³): 5.3
Volume (A^3/atom): 17.30
Space-group type: P4/mmm, No. 123
Formation energy without anion corrections (eV per atom): 1.516

***

Density functional theory data (GGA-PBE) for a relaxed Tb5Nd2 crystal.

Cell: 5.706 5.706 8.868 Å, 71.23 71.23 60.00°
Fractional positions:
Tb 0.084 0.084 0.748
Tb 0.776 0.776 0.672
Tb 0.500 0.500 0.500
Tb 0.224 0.224 0.328
Tb 0.916 0.916 0.252
Nd 0.636 0.636 0.091
Nd 0.364 0.364 0.909

Formation energy (eV per atom): 0.1405
E (eV/atom): -4.529
Calculated density (g cm⁻³): 7.7
Volume (A^3/atom): 33.16
Space-group type: R-3m, No. 166

***

Density functional theory data (GGA-PBE) for a relaxed LiY3F crystal.

Cell: 4.937 4.937 4.937 Å, 90.00 90.00 90.00°
Fractional positions:
Y 0.000 0.500 0.000
Y 0.000 0.000 0.500
Y 0.500 0.000 0.000
Li 0.500 0.500 0.500
F 0.000 0.000 0.000

E (eV/atom): -5.372
Calculated density (g cm⁻³): 4.0
Volume (A^3/atom): 24.07
Space-group type: Pm-3m, No. 221
Formation energy without anion corrections (eV per atom): -0.737

***

Density functional theory data (GGA-PBE) for a relaxed La12Si3O5 crystal.

Cell: 13.960 13.960 13.960 Å, 109.47 109.47 109.47°
Fractional positions:
Si 0.750 0.375 0.125
Si 0.875 0.750 0.125
Si 0.375 0.750 0.625
Si 0.250 0.125 0.375
Si 0.875 0.125 0.250
Si 0.375 0.625 0.250
Si 0.625 0.375 0.750
Si 0.125 0.875 0.750
Si 0.750 0.875 0.625
Si 0.625 0.250 0.375
Si 0.125 0.250 0.875
Si 0.250 0.625 0.875
O 0.125 0.375 0.250
O 0.000 0.500 0.000
O 0.000 0.000 0.000
O 0.375 0.250 0.125
O 0.500 0.000 0.500
O 0.500 0.500 0.000
O 0.125 0.750 0.375
O 0.750 0.125 0.875
O 0.750 0.625 0.375
O 0.375 0.125 0.750
O 0.625 0.875 0.250
O 0.500 0.500 0.500
O 0.500 0.000 0.000
O 0.000 0.000 0.500
O 0.250 0.375 0.625
O 0.250 0.875 0.125
O 0.000 0.500 0.500
O 0.875 0.250 0.625
O 0.625 0.750 0.875
O 0.875 0.625 0.750
La 0.704 0.115 0.020
La 0.315 0.520 0.405
La 0.980 0.385 0.296
La 0.520 0.204 0.115
La 0.590 0.704 0.685
La 0.980 0.595 0.185
La 0.315 0.796 0.410
La 0.095 0.910 0.115
La 0.595 0.980 0.685
La 0.704 0.590 0.185
La 0.796 0.480 0.385
La 0.815 0.905 0.020
La 0.115 0.704 0.520
La 0.385 0.405 0.090
La 0.090 0.905 0.385
La 0.410 0.115 0.595
La 0.090 0.185 0.204
La 0.480 0.685 0.095
La 0.815 0.910 0.296
La 0.115 0.410 0.095
La 0.385 0.980 0.796
La 0.595 0.615 0.410
La 0.905 0.815 0.520
La 0.796 0.315 0.910
La 0.405 0.385 0.590
La 0.095 0.185 0.480
La 0.204 0.685 0.090
La 0.185 0.090 0.704
La 0.615 0.020 0.204
La 0.885 0.590 0.905
La 0.520 0.315 0.905
La 0.590 0.885 0.405
La 0.910 0.815 0.796
La 0.910 0.095 0.615
La 0.885 0.296 0.480
La 0.185 0.095 0.980
La 0.615 0.595 0.910
La 0.405 0.020 0.315
La 0.296 0.410 0.815
La 0.204 0.520 0.615
La 0.905 0.090 0.885
La 0.685 0.204 0.590
La 0.480 0.796 0.885
- - -
Following her Thursday lecture, Guzmán led two workshops on Friday on reclaiming curiosity with students, faculty and staff.
Guzmán told the audience that the reward of being curious is the moments of insight when a bridge has been built from one-on-one conversation.
“When an insight has crossed that chasm between one complex mind and another, that’s an ‘I never thought of it that way’ moment,” she said.
Guzmán is the first to be featured in the 2023-24 Elon University Speaker Series this year. Visit the series website for more information.